The next few months may be challenging. There is colder weather (I am envying my friends in the southern hemisphere) and less daylight. We are in the midst of a raging pandemic that is expected to get worse before it gets better, with no certainty about when it might end. The need for masking and social distancing will continue. There is limited opportunity to visit face-to-face with family members and other supporters. Political uncertainty, at least in the United States, makes these very trying times. I have noticed that I am experiencing early warning signs that I have not experienced for many, many years—not since I began using WRAP intensively. I have also noticed some stressors, early warning signs, and signs that things are breaking down that I have not experienced before. Perhaps this also speaks to your experience.
My strategy for getting successfully through these times without a recurrence of my mental health distress is to update my WRAP, especially my list of wellness tools, to make sure it is effective and carries me safely through these hard times. My list of wellness tools has served me well in the years since a small group of people who were having mental health difficulties developed WRAP back in 1997. If I am having trouble sleeping, I think of all the wellness tools I used that day. My list contains common things such as going for a walk, calling a supporter, eating three meals a day, and taking a shower. Some that may be more idiosyncratic to me include visiting the beavers that live near my house, making patches for a quilt that I have been working on for a long time, and playing some old-time tunes on the piano.
As I thought more and more about my wellness tools, I realized that, to negotiate my way through these times, I need some heavy-duty wellness tools. I have been pondering this for weeks now, and it is helping me to think about this need even more as I write to you. What have I figured out?
Support, getting it or giving it, is a key heavy-duty wellness tool for me. I miss the gatherings and the groups. I miss the hugs a lot. In these times, I have to schedule and make special arrangements to be sure something happens because, if I don’t, it won’t happen. I have several very close friends and we have a Zoom call every week. It’s a mini-support group and it makes a big difference for me. I often try to join a Zoom that happens twice a week with people in my community. I have arranged for calls every other week with an old friend who lives in Arizona. In the evening, I try to reach at least one family member, usually more, every day. I miss them so much now that we can’t visit in person. I find it is especially important to keep in touch with family members and friends who have experienced loss during these times, or who are having a very hard time. It doesn’t make me feel better, but it feels right, and that is important to me. I have a friend who lives alone. She makes it a point to call people, especially people she cares about and hasn’t seen in a long time. These are all heavy-duty wellness tools.
For years I have talked about Exchange Listening—two people sharing for equal amounts of time without interruption. I know this would be helpful to me now. I haven’t used it in a long time, but I am planning to resurrect it. It is described in detail in my books.
I have also found that I need to update my meditation practice. I have tried something new called tapping. You may want to check it out. There are also good meditation apps and many, many sites that have free guided meditations. I am finding that I need guided meditations these days as they help me concentrate. I have learned that mindfulness, being fully present, and appreciating each moment is, for me, a heavy-duty wellness tool.
Like most people, I get into the habit of mindlessness—doing things, seeing things, hearing things, and hardly noticing. It gives me a boost when I spend time focusing on each little and big thing I do, where I am going, what I am reading, and what someone else is doing. It especially helps me with old eating patterns that don’t serve me in this time. I pay close attention to what I am eating—the taste, the smell, the texture, the feeling of the food in my mouth.
A long, rigorous hike in a beautiful forest gets my endorphins going, as does being in a beautiful natural area. Usually I combine the two, hiking to a beautiful natural area. The “high” I get from that activity stays with me for several days. Unfortunately, this option is not available to everyone either due to transportation issues or lack of options. If I can’t get outside, I try to do some exercise inside. I have an exercise bike that I ride. I also count cleaning, vacuuming, or scrubbing as exercise, and it helps me feel better.
I used to love playing the piano, but in recent years my piano has been neglected. I have now dusted off the bench and played a few tunes and realized how easy it is to get lost in the music, even with my minimal skills. There is lots of music I love to listen to that makes me feel really good, but again, I haven’t done much of that lately. I could also spend hours and hours listening to good music. It is at my fingertips. And now it is on my list of wellness tools in the “heavy-duty” section. So is sketching. I love to sketch, but again, I haven’t done it in a long time. Perhaps you have some activities that you used to enjoy—that you might enjoy again—that would likely help you get through this hard time.
_Materials data from another source follow_
********
Entry 1:
A relaxed Ba2Ga3Sn4Au crystal, computed with PBE-GGA.

abc: 5.046 5.046 10.909
angles: 90.00 90.00 90.00
Space group P-4m2 (No. 115)
Asymmetric unit:
Ba (0.000, 0.500, 0.237) [2 per cell]
Ga (0.000, 0.000, 0.000) [1 per cell]
Ga (0.000, 0.500, 0.627) [2 per cell]
Sn (0.000, 0.000, 0.500) [1 per cell]
Sn (0.000, 0.500, 0.878) [2 per cell]
Sn (0.500, 0.500, 0.500) [1 per cell]
Au (0.500, 0.500, 0.000) [1 per cell]

Output
- ΔE_f (eV per atom) = -0.44
- volume (Å³ per atom) = 27.781

---

Entry 2:
A relaxed NpI2Br crystal, computed with PBE-GGA.

abc: 4.013 11.608 7.482
angles: 90.00 90.00 90.00
Space group Imm2 (No. 44)
Asymmetric unit:
Np (0.000, 0.000, 0.000) [2 per cell]
I (0.000, 0.328, 0.321) [4 per cell]
Br (0.000, 0.500, 0.779) [2 per cell]

Output
- uncorrected formation energy (eV per atom) = -0.97
- volume (Å³ per atom) = 43.563
- energy relative to the lowest polymorph listed for this composition (meV per atom) = 22

---

Entry 3:
A relaxed Li3PaN3 crystal, computed with PBE-GGA.

abc: 6.0731 6.0731 16.1643
angles: 90.00 90.00 120.00
Space group R-3 (No. 148, hexagonal axes)
Asymmetric unit:
Li (0.0320, 0.2914, 0.1256) [18 per cell]
Pa (0.0000, 0.0000, 0.3297) [6 per cell]
N (0.0021, 0.3956, 0.9198) [18 per cell]

Output
- uncorrected formation energy (eV per atom) = -0.83
- volume (Å³ per atom) = 12.293
- energy relative to the lowest polymorph listed for this composition (meV per atom) = 72

---

> Which of these has the highest volume?

NpI2Br

---

> Which formula does entry 2 have?

NpI2Br

---

> volume of number 2 (NpI2Br)?

43.563 Å³ per atom

---

> Which value of volume does entry 1 give?

27.781 Å³ per atom


First-principles (GGA-PBE) data for a geometry-optimized TbPr3Y3S8 structure, as listed in the Alexandria database.

Cell lengths 7.951, 7.951, 8.050 Å; angles 119.59, 90.00, 120.00 degrees
Fractional coordinates of all 15 atoms:
S (0.744, 0.489, 0.733)
S (0.258, 0.011, 0.264)
S (0.753, 0.507, 0.264)
S (0.256, 0.511, 0.267)
S (0.753, 0.011, 0.264)
S (0.247, 0.989, 0.736)
S (0.742, 0.989, 0.736)
S (0.247, 0.493, 0.736)
Y (0.500, 0.500, 0.500)
Y (0.000, 0.500, 0.500)
Y (0.500, 0.000, 0.500)
Pr (0.500, 0.500, 0.000)
Pr (0.000, 0.000, 0.000)
Pr (0.000, 0.500, 0.000)
Tb (0.000, 0.000, 0.500)

Space-group type: R-3m, No. 166
Electronic total energy: -102.15 eV for the cell shown
Spin magnetization: 0.00 μB per cell
Crystal system: trigonal


A geometry-optimized Ce4ErGa4 structure, computed with PBE-GGA.

a b c (Å): 8.5652 8.5652 5.8799
angles (deg): 90.00 90.00 90.00
Closest atoms and distances in Å follow each position.
Atoms (fractional coordinates):
Ce 0.0993 0.8175 0.1181  1 Ce 2.83, 3 Ga 3.05-3.14, 1 Er 3.14
Ce 0.1825 0.5993 0.6181  1 Ce 2.83, 3 Ga 3.05-3.14, 1 Er 3.14
Ce 0.3175 0.9007 0.6181  1 Ce 2.83, 3 Ga 3.05-3.14, 1 Er 3.14
Ce 0.4007 0.6825 0.1181  1 Ce 2.83, 3 Ga 3.05-3.14, 1 Er 3.14
Ce 0.5993 0.3175 0.8819  1 Ce 2.83, 3 Ga 3.05-3.14, 1 Er 3.14
Ce 0.6825 0.0993 0.3819  1 Ce 2.83, 3 Ga 3.05-3.14, 1 Er 3.14
********
For years I went to an exercise class a couple of times a week at our local senior center. Now that is closed. Lately I have been noticing stiffness and soreness when I am moving. To deal with that, I started attending a Zoom exercise class with local people. At my age, I can’t let that slip. I know it is easier for me if I am guided through the exercises by an instructor, especially if there are people in the class that I know. I am sure there are exercise classes on TV or on a CD that would work for me, but I find that, without the routine of a specific time and place, I don’t do it.
My grandson is in his 20s and his immune system is compromised. He has to be very, very careful. He is only going out early in the morning to exercise. He has decided to use this time to enroll in an online college program. He has already earned enough credits for his associate’s degree. He is also playing games online with friends who he can’t get together with and taking online cello lessons. These are heavy-duty wellness tools for him.
I will be adding my heavy-duty wellness tools to the list of wellness tools in the front of my WRAP. If they are already there, I will be putting an asterisk beside them so they stand out, and perhaps write a bit more about them, reminders of what works best. Then I will go through each section of my WRAP: my daily plan, stressors, early warning signs, when things are breaking down, my crisis plan—which I haven’t used in a long time because I follow WRAP and have so many tools to get me through hard times—and my post-crisis plan, inserting these tools where they fit. Some of them, like getting support, I include in every section. I always need connection with people. Others I will be using from time to time.
We can all use our creativity and increase our own list of wellness tools. If I have a hard time figuring out enough heavy-duty wellness tools, I am going to refer to a book I wrote a few years ago, WRAP for Life. It is full of wellness tool ideas. I am also asking family members and friends for ideas.
I wish you all good health and happiness through this hard, hard time.
Mary Ellen Copeland, PhD, developed Wellness Recovery Action Plan (WRAP) with a group of people with lived experience who were attending a mental health recovery workshop in 1997. She is the original author of the WRAP Red Book, as well as dozens of other WRAP books and materials. She has dedicated the last 30 years of her life to learning from people who have mental health issues; discovering the simple, safe, non-invasive ways they get well, stay well, and move forward in their lives; and then sharing what she has learned with others through keynote addresses, trainings, and the development of books, curriculums, and other resources. Now that she is retired, and that, as she intended, others are continuing to share what she has learned, she continues to learn from those who have mental health issues and those who support them. She is a frequent contributor to this site.